Volume 23, Number 11: November 2022
An Insightful, Thoughtful Contribution Exploring Dimensions of Care
Philosophy of Care: New Approaches to Vulnerability, Otherness and Therapy
Joachim Braga, Mário Santiago de Carvalho (editors)
Springer International Publishing, 2021
Hardcover, 386 pp
ISBN: 978-3030712402
List price: 124,79 €, $149.99 USD
Also available: eBook
Reviewed by Linda Sheahan, MD
For clinicians in palliative care who are drawn to reflection on the deeply philosophical dimensions of the type of work we do, this volume is a wonderfully useful contribution. It seeks to unpack what it truly means to “care” for others, and translate this meaning not only to our own practice, but to the world we inhabit.
This volume is divided into five parts, each of which articulates a different dimension in the philosophy of care: vulnerability, economy, otherness, the self, and therapy.
Part 1 situates the philosophy of care within our ubiquitous state of interdependence and vulnerability. Using different theoretical approaches, the authors highlight the great strengths and shared relational nature of vulnerability, linking us with each other and those we care for to promote understanding, meaning, and solidarity. For readers with an interest in theoretical philosophy, seeking to reflect deeply on the epistemic and existential nature of the work we do, this section provides excellent fodder for exploration and inspiration. The authors link our instinctual awareness of vulnerability as a fundamental part of our work in palliative care, to some of the deep constructional work of established philosophical paradigms, creating a careful and deliberative scaffold for deepening our understanding of care, and how it intersects with meaning and value in ourselves and “the other.”
Parts 2 to 5 expand on these ideas and apply them to core components of how we and our work engage with the world around us. The chapters span a breadth of domains: economic and political terrain, climate change, global justice, refugees, sociocultural notions of “otherness,” and reinterpreted formulations of individuation and subjectivity. Finally, the volume reorientates us back to practice, and what it means to “look after people” as professionals dedicated to providing “therapy” through the lens of care.
As a palliative care physician, with dual expertise and interest in clinical ethics and bioethics, I found this book a breath of fresh air—particularly in the work it does in translation between academic and theoretical philosophy, and my clinical work in palliative medicine. Editors Joaquim Braga and Mário Santiago de Carvalho have brought together a diverse and insightful group of thinkers and writers, and curated an excellent contribution to the theoretical discourse on care as it relates to our work and our world.
Linda Sheahan is a palliative care physician; heads the clinical ethics service at South Eastern Sydney Local Health District; and is a conjoint lecturer with the School of Clinical Medicine, Department of Medicine & Health, University of New South Wales in Sydney, Australia.
A Memoir on the Death of One Woman’s Aging Mother
Absolutely Delicious: A Chronicle of Extraordinary Dying
Alison Jean Lester
Bench Press, 2020
Softcover, 186 pp
ISBN 978-1838112400
List price: $14.99 USD
Also available: eBook
Reviewed by Renske Visser
The starting point of is one of the things I also absolutely enjoyed: Alison Lester’s mother Valerie, experienced a so-called “good death.” While this is still the story of a daughter who is sad to lose her mother, the main takeaway is: look at this wonderful life, which ended in a wonderful death.
Her mother’s sense of humor shines through: Valerie named her three brain tumours Mel, An, and Oma. A biographer who raised a family and, later, cared for husband, Valerie made choices about divesting her belongings and the things she wanted to do before she died. One final wish was to enjoy a refreshing gin and tonic: her response to this final drink is the book’s title.
This memoir will speak particularly to those faced with the reality of ageing (and dying) parents. Alison does not preach about to discuss dying with a parent, but vividly and eloquently describes what worked for her mother’s personal journey. Despite the overarching positive experience she describes, the final chapter highlights three things Alison would do differently if she had the chance to do it again.
Read the full review.
A Grieving Widow Tries to Make Sense of Untimely Death
The Elements: A Widowhood
Kat ListerIcon Books, 2021
Hardcover, 256 pp
ISBN 978-1785786969
List price: £14.99
Also available: Softcover, eBook
Reviewed by Renske Visser
Close your eyes and picture a widow. What do you see? It is unlikely you pictured the image of author and journalist Kat Lister, widowed at age 35. In her grief, she finds comfort in literature, and tries to make sense of her story through the written accounts of others, both fictional and real. Is a wonderful mix of Lister’s personal story and her engagement with literature.
We learn about Lister’s husband and his cancer diagnosis. How for years Lister’s life revolved around being a caregiver, hospital appointments, seizures, uncertainty, and fear. She writes honestly about how did not anticipate that, after her husband’s death, she would need to unlearn the habits and routines of being a caregiver, and that it would be difficult. She writes of the challenges of trying to become pregnant when your husband is being treated for cancer, and the complicated pains of miscarrying in what is already an emotionally difficult time.
This book will appeal not just to young widows and widowers, but to many trying to make sense of their grief. I do have one small criticism about non-fiction memoirs generally: they often lack a bibliography. A comprehensive list of the books mentioned in this memoir would have been helpful so that book worms, like myself, could easily select future reads.
Read the full review.
**Calculated crystals, kept here for reference:**
+++
MnCu2Ni8: theoretical XRD peak list (Cu Kα (weighted mean of Kα1 and Kα2)), based on DFT lattice parameters and positions (PBE).

The 10 most intense peaks (2θ = 10–90°), most intense first:
| two_theta | d_spacing | I/Imax |
| --- | --- | --- |
| 45.07 | 2.012 | 100.0 |
| 45.60 | 1.990 | 82.2 |
| 47.54 | 1.913 | 81.3 |
| 69.51 | 1.352 | 23.1 |
| 39.27 | 2.294 | 15.2 |
| 62.49 | 1.486 | 14.0 |
| 86.72 | 1.123 | 13.5 |
| 86.46 | 1.126 | 12.3 |
| 82.10 | 1.174 | 11.7 |
| 87.09 | 1.119 | 11.0 |

Structural model:
```
11
Lattice="3.604 -4.729 0.000 3.604 4.729 0.000 0.000 0.000 3.828" Properties=species:S:1:pos:R:3 pbc="T T T"
Mn 0.000 0.000 0.000
Cu 3.604 1.152 1.914
Cu 3.604 -1.152 1.914
Ni 1.207 1.250 1.914
Ni 3.604 2.391 0.000
Ni 1.207 -1.250 1.914
Ni 2.390 0.000 0.000
Ni 4.818 0.000 0.000
Ni 6.002 1.250 1.914
Ni 3.604 -2.391 0.000
Ni 6.002 -1.250 1.914
```

---

Pm4Ho3Er8: theoretical XRD peak list (Cu Kα (weighted mean of Kα1 and Kα2)), based on DFT lattice parameters and positions (PBE).

The 10 most intense peaks (2θ = 10–90°), most intense first:
| two_theta | d_spacing | I/Imax |
| --- | --- | --- |
| 31.56 | 2.835 | 100.0 |
| 36.29 | 2.476 | 72.8 |
| 30.46 | 2.935 | 54.5 |
| 62.34 | 1.489 | 42.8 |
| 52.97 | 1.729 | 36.1 |
| 51.54 | 1.773 | 23.3 |
| 29.97 | 2.981 | 23.2 |
| 61.05 | 1.518 | 16.2 |
| 87.13 | 1.119 | 15.9 |
| 26.88 | 3.316 | 15.0 |

Structural model:
```
15
Lattice="3.457 1.996 11.738 -3.457 1.996 11.738 0.000 -3.992 11.738" Properties=species:S:1:pos:R:3 pbc="T T T"
Pm 0.000 0.000 0.000
Pm 0.000 0.000 5.756
Pm 0.000 0.000 17.607
Pm 0.000 0.000 29.458
Ho -1.729 -0.998 11.738
Ho -1.729 0.998 23.476
Ho 0.000 1.996 11.738
Er 0.000 -1.985 14.635
Er -1.719 0.992 14.635
Er -1.719 -0.992 20.579
Er 0.000 0.000 8.990
Er 0.000 0.000 26.224
Er 1.719 0.992 14.635
Er 1.719 -0.992 20.579
Er 0.000 1.985 20.579
```

---

Pu3Pd2Au2: theoretical XRD peak list (Cu Kα (weighted mean of Kα1 and Kα2)), based on DFT lattice parameters and positions (PBE).

The 10 most intense peaks (2θ = 10–90°), most intense first:
| two_theta | d_spacing | I/Imax |
| --- | --- | --- |
| 32.47 | 2.757 | 100.0 |
| 38.64 | 2.330 | 85.1 |
| 66.05 | 1.415 | 31.0 |
| 25.01 | 3.560 | 22.6 |
| 46.58 | 1.950 | 20.5 |
| 69.92 | 1.345 | 18.2 |
| 53.59 | 1.710 | 15.2 |
| 51.33 | 1.780 | 12.8 |
| 49.00 | 1.859 | 12.4 |
| 81.04 | 1.187 | 12.1 |

Structural model:
```
14
Lattice="-4.360 4.360 4.360 4.360 -4.360 4.360 4.360 4.360 -4.360" Properties=species:S:1:pos:R:3 pbc="T T T"
Pu 4.360 -2.180 3.090
Pu 3.090 4.360 -2.180
Pu 4.360 2.180 1.270
Pu 2.180 1.270 4.360
Pu 1.270 4.360 2.180
Pu -2.180 3.090 4.360
Pd 5.003 -0.643 0.643
Pd 0.643 5.003 -0.643
Pd -0.643 0.643 5.003
Pd 3.717 3.717 3.717
Au 2.990 1.370 -1.370
Au 1.370 -1.370 2.990
Au 1.370 1.370 1.370
Au -1.370 2.990 1.370
```

---

Ac12CuGe6: theoretical XRD peak list (Cu Kα (weighted mean of Kα1 and Kα2)), based on DFT lattice parameters and positions (PBE).

The 10 most intense peaks (2θ = 10–90°), most intense first:
+++
Death Is “Beyond Representation…Enigmatic and Internal”
Dying in Full Detail: Mortality and Digital Documentary
Jennifer MalkowskiDuke University Press, 2017
Paperback or cloth cover, 241 pp
List price: $26.95 USD
ISBN 978-0822363156
Reviewed by Renske Visser
Dying in Full Detail: Mortality and Digital Documentary by Jennifer Malkowski, an assistant professor of film and media studies, provides great insight intohow death and dying are—and have been—portrayed on screen. The author notes that capturing the moment of death in a documentary was virtually impossible in the past and remains so even today, despite cheaper and often unlimited capacity of filming.
“It remains beyond representation… death is enigmatic and internal, with limited external signs… It refuses to appear as a transcendent, identifiable instant capable of video capture… [it] obscured the more frightening reality that dying is a durational process.” —Jennifer Malkowski, Dying in Full Detail, p. 7
In the introduction, Malkowski quotes a person’s voice captured in a recording of the Twin Towers attack in 2001: “Don’t take pictures o’that. Whattsa matter with you?" In contrast, in 2022, there is a cultural expectation that when a bad event happens, it should be filmed. The author explores the ethical question of where natural dying should be captured on film and be the subject of documentaries. Building on Vivian Sobchack’s work that outlines five visual gazes that filmmakers encounter when filming death (the accidental gaze, the helpless gaze, the endangered gaze, the interventional gaze, the ethical stare), Malkowksi introduces “the expectant gaze.”
Fictional on-screen depictions of death have “taught” audiences what death and dying looks like, images renounced by videos of real deaths. She discusses the example of Eric Garner and the video capturing his death, where he utters the powerful words ‘I can’t breathe’—words that took a life of their own with the murder of George Floyd.
Read the full review.
Film Review
Conquering Cancer
Director: Mike Hill
Moonshine Movies, 2022
Film screening: $260 AUD, $173.32 USD, 173.95 €
Reviewed by Renske Visser
Conquering Cancer, a film directed by Mike Hill and presented by Sue Collins, has a clear message: cervical cancer can be prevented and entirely eliminated. There is a vaccine with the potential to rid the world of cervical cancer in just a couple of generations, but that goal is hampered by stigma and supply issues. Women and girls are often hesitant to attend screenings or to receive the vaccination. Furthermore, the screening and vaccine are not readily available in every part of the world.
While I appreciate the use of “conquering cancer” in the context of trying to eliminate a preventable disease, the film’s use of the phrase that patients “lost their battle” with cancer is more problematic. A survey by Macmillan Cancer Support found that many cancer patients considered the phrase inappropriate, as it implies that they could be “defeated” by cancer, which undermines them as individuals. (The same negative connotation was linked to other words describing cancer patients: fight, victim, defeated, and hero.)
Due to its focus on treatment and prevention, palliative care for those with cervical cancer is not discussed in the film. It is a missed opportunity to shine a light on palliative and end-of-life care: as the film states, today’s reality is that a woman dies of cervical cancer every two minutes.
That being said, this documentary is an excellent educational resource, particularly for an audience of young people, as it highlights that cervical cancer is not an individual problem. The documentary convincingly shows how women globally are burdened with this disease. Hopefully, this will serve to counteract the stigma and reluctance to seek screening or accept a vaccine.
Conquering Cancer has won four industry awards: an honorable mention for the Humanitarian Award at the Accolade Competition; two awards of excellence at the Impact Docs Awards, and best documentary feature at IndieFEST.
See the trailer.
Renske Visser, PhD, is a medical anthropologist and blogger (Dead Good Reading) living in Helsinki, Finland. She also cohosts The Death Studies Podcast.
NB: Review copies become the property of IAHPC and are not returned to the author. Only books related to palliative care that have been approved and have an ISBN will be reviewed. Due to the large number of requests, we cannot provide exact dates of when books will be reviewed.